**Work order**
Next, say how many lines of the data underneath hold the word "DFT", as a bare number.

**Entries**
-- begin --
DFT (the ωB97M-V functional and the def2-TZVPD basis) results for a cluster of 12 separate species, C46H120N4O15 in total.

Properties
LUMO energy ... 0.68 eV
Total charge ... 0
HOMO-LUMO gap ... 9.24 eV
HOMO level ... -8.564 eV

Geometry as XYZ:
```
185
Properties=species:S:1:pos:R:3:forces:R:3:mulliken_charge:R:1
C 0.24345 3.42920 -2.67056 -0.15 0.88 -0.37 -0.18
C -0.75994 4.55872 -2.89915 -1.28 -0.27 2.13 0.44
C -1.61333 4.83213 -1.61513 -0.03 0.27 -1.23 -1.27
O -0.21068 5.84089 -3.19044 0.34 -0.37 -0.52 -0.64
H -0.13257 2.64177 -2.06197 -0.80 -0.57 0.54 -0.74
H 1.12121 3.75039 -2.12658 0.44 0.30 -0.21 0.24
H 0.46412 2.94889 -3.60420 0.72 -0.10 -0.53 0.50
H -1.51220 4.22161 -3.62382 0.33 0.28 -0.50 0.21
H -2.20294 3.97122 -1.29524 0.00 -0.03 -0.19 0.19
H -2.25881 5.69524 -1.83816 -0.07 -0.38 0.09 0.46
H -0.99418 5.13848 -0.80234 0.69 0.10 0.66 0.27
H 0.42933 5.77859 -3.91248 -0.18 -0.12 0.13 0.35
C 6.73281 2.63081 4.56511 1.14 -1.07 1.42 -1.38
C 5.64176 1.93874 5.36171 1.53 -1.18 -0.30 0.68
C 5.34741 2.51690 6.72207 1.68 0.50 0.49 -1.44
O 4.49547 1.76538 4.59548 -1.22 -0.80 0.05 -0.42
H 6.37103 3.59196 4.26793 0.08 0.65 -0.88 0.44
H 7.17520 1.92257 3.80749 -0.79 1.20 0.32 0.24
H 7.52448 2.79169 5.32722 -0.08 0.19 -0.65 0.43
H 6.11196 0.93016 5.51151 -0.86 0.38 0.20 0.16
H 4.61011 1.92874 7.21587 -0.80 -0.28 0.33 0.37
H 5.09497 3.57911 6.73547 -0.32 -0.06 -0.27 0.30
H 6.27155 2.44331 7.34523 -0.54 -0.03 -0.39 0.40
H 4.42466 2.41144 3.90163 0.16 0.48 -0.31 0.19
C 3.58843 -0.91098 -2.79592 -0.74 -0.98 0.07 -1.19
C 3.04346 0.34919 -3.40724 -0.30 1.53 -0.44 0.87
C 1.87344 0.17152 -4.35520 -0.54 -0.97 1.81 -1.11
O 2.55465 1.25664 -2.42280 1.28 0.32 1.46 0.02
H 4.49881 -0.67214 -2.27299 0.52 -0.07 0.24 0.42
H 3.79708 -1.72294 -3.55350 -0.29 0.81 0.87 0.40
H 2.85553 -1.24728 -2.01620 0.53 -0.09 -0.75 -0.09
H 3.81845 0.85592 -4.00638 0.29 -0.15 0.23 0.08
H 0.94525 0.11967 -3.71422 0.74 0.16 -0.96 -0.18
H 2.03498 -0.76976 -4.81502 -0.26 -1.12 -0.74 0.58
H 1.83749 0.89298 -5.13313 -0.30 0.94 -0.38 0.39
H 3.27748 1.48555 -1.71938 -0.98 -0.40 -1.35 -0.29
C -0.15882 6.55225 2.91596 0.88 -1.56 -2.30 -1.63
C 0.85356 5.46920 3.19436 0.48 -1.41 -2.54 0.93
C 1.31995 5.44436 4.56699 -0.17 -0.17 3.80 -1.18
O 0.40487 4.13003 2.82611 -0.59 0.71 0.35 0.11
H 0.33911 7.46597 2.92457 0.69 1.84 0.37 0.56
H -0.96539 6.52398 3.55665 -1.74 0.03 1.67 0.36
H -0.54133 6.44664 1.89513 0.01 -0.13 0.06 0.18
H 1.74537 5.59337 2.49406 -1.02 0.12 0.81 0.14
H 1.69149 6.41018 4.92716 0.09 0.04 -0.27 0.41
H 2.11052 4.70778 4.75013 -0.13 0.07 -0.23 0.17
H 0.49667 5.18817 5.34358 0.94 0.27 -1.42 0.18
H -0.46107 3.94967 3.25883 0.50 0.14 -0.39 0.00
C -6.09510 -0.58219 2.26231 3.08 1.56 1.68 -1.58
C -4.94238 -0.39493 1.26247 -0.15 0.47 -1.00 0.51
C -5.31639 -1.09837 -0.08966 1.12 0.49 0.49 -1.05
O -4.55285 1.02120 0.99136 -0.10 -2.08 1.06 -0.05
H -7.03934 -0.35585 1.86700 -1.35 0.14 -0.60 0.33
H -5.89347 0.07435 3.19564 -0.42 -1.11 -1.39 0.21
H -5.94534 -1.61262 2.52622 -0.70 -0.60 0.47 0.49
H -4.02583 -0.83723 1.66130 -0.11 0.08 0.05 0.39
H -4.52615 -0.75353 -0.79715 -0.52 -0.88 0.19 0.07
H -6.24088 -0.68296 -0.43118 -0.65 0.40 -0.30 0.34
H -5.48912 -2.20417 -0.05014 0.69 0.90 0.15 0.38
H -5.23678 1.33566 0.41861 -0.79 0.55 -0.90 -0.05
C -1.46162 0.20127 -0.42411 -0.38 0.04 -1.49 -0.01
C -0.14334 0.13950 0.30952 -0.83 0.06 0.68 2.38
C 0.09323 1.48577 0.95501 0.43 -0.59 0.41 -0.05
O -0.39875 -0.79780 1.35341 0.70 -1.06 0.32 -0.67
H -2.24912 0.50263 0.26283 0.05 0.33 0.17 -0.37
H -1.83341 -0.77479 -0.81029 0.63 0.49 0.00 -0.28
H -1.39703 0.96859 -1.24527 -0.24 -0.79 0.56 -0.15
H 0.72372 -0.15370 -0.30229 -0.32 -0.04 -0.05 -0.33
H -0.76892 1.66257 1.65987 1.34 0.04 -0.34 -0.37
H 0.03296 2.17943 0.15377 0.05 1.18 -0.52 -0.11
H 1.14373 1.51855 1.35028 -1.34 0.28 0.28 -0.28
H 0.43658 -1.20512 1.62020 -0.22 0.14 0.06 0.28
C -3.20222 -1.28363 -3.93319 2.00 0.34 -0.29 -0.88
C -3.18206 -0.53084 -5.25133 -0.53 0.13 -0.72 0.71
C -1.88811 0.18458 -5.55008 2.42 -2.19 -0.81 -0.95
-- stop --

**Here it is**
1